This doesn't look too promising....

# Between two parts of the page: records of molecules
No. 1
Here is the ion C4H10N3 with charge +1 at a distorted geometry from OMol25. Energies are from wB97M-V/def2-TZVPD.

CARTESIAN COORDINATES (ANGSTROEM)
C: 0.599 0.548 -1.052
C: 0.644 -0.558 1.240
C: -0.261 -0.927 0.090
C: -1.744 -0.786 0.267
N: 1.145 1.395 -0.308
N: 0.210 0.594 -2.295
N: 1.081 1.078 1.042
H: 0.287 -0.318 2.217
H: 1.630 -0.856 1.245
H: 0.160 -1.837 -0.340
H: -2.227 -1.167 -0.610
H: -2.030 0.162 0.162
H: -2.014 -1.361 1.107
H: -0.028 -0.235 -2.888
H: 0.201 1.397 -2.869
H: 0.317 1.584 1.677
H: 2.029 1.288 1.315

The calculation puts the total energy at -8770.49957 eV. The orbital gap comes out at 10.76 eV. Its net charge is +1. As for the energy above the lowest of the compared OMol25 structures with the same formula, charge and spin: 4.100 eV. The maximum force comes out at 4.80 eV/A.

The molecule's Löwdin atomic charges, reported in e, are given here: C -0.24; C -0.01; C -0.14; C -0.05; N 0.05; N 0.17; N 0.02; H 0.11; H 0.09; H 0.12; H 0.09; H 0.04; H 0.09; H 0.16; H 0.11; H 0.23; H 0.16

No. 2
Here is a cluster of 2 separate species, C4H10N3 in total at a distorted geometry from OMol25. Energies are from wB97M-V/def2-TZVPD.

CARTESIAN COORDINATES (ANGSTROEM)
C: -0.065 1.374 1.279
C: -0.211 -2.061 -1.195
C: -1.147 -1.056 -1.552
C: 1.004 -0.807 0.886
N: 0.383 -3.016 -1.713
N: -0.411 2.727 1.114
N: 0.949 0.612 0.866
H: -0.466 0.892 2.128
H: -2.037 -1.244 -0.796
H: -1.307 -1.099 -2.595
H: -0.690 -0.044 -1.307
H: 0.700 -1.313 1.823
H: 1.913 -1.193 0.449
H: 1.199 -3.587 -1.500
H: -1.325 3.071 1.256
H: 0.286 3.327 0.774
H: 1.563 1.003 0.218

The calculation puts the total energy at -8769.45579 eV. The orbital gap (spin up / spin down) comes out at 6.40 / 7.22 eV. Its net charge is +1. As for the energy above the lowest of the compared OMol25 structures with the same formula, charge and spin: 5.143 eV. The maximum force comes out at 5.50 eV/A.

The molecule's Löwdin atomic charges, reported in e, are given here: C -0.10; C -0.16; C -0.07; C -0.05; N 0.22; N 0.16; N -0.01; H 0.13; H 0.15; H 0.08; H 0.09; H 0.07; H 0.05; H 0.11; H 0.10; H 0.09; H 0.13

No. 3
Here is a structure of composition C4H10N3O at a distorted geometry from OMol25. Energies are from wB97M-V/def2-TZVPD.

CARTESIAN COORDINATES (ANGSTROEM)
C: 1.952 -0.296 -0.010
C: -1.495 -1.145 -0.123
C: -2.070 0.195 -0.288
C: -0.591 -0.021 -0.560
N: 1.975 -1.538 0.488
N: 0.277 0.358 0.550
N: 0.417 1.766 0.420
O: 2.644 0.463 -0.602
H: -1.281 -1.651 0.789
H: -1.778 -1.853 -0.930
H: -2.714 0.381 -1.203
H: -2.416 0.746 0.579
H: -0.161 -0.005 -1.462
H: 1.056 -1.826 0.764
H: 2.806 -1.997 0.514
H: -0.276 2.239 -0.160
H: 1.232 1.965 -0.165
H: 0.422 2.218 1.397

The calculation puts the total energy at -10818.52791 eV. The orbital gap comes out at 11.06 eV. Its net charge is +1. As for the energy above the lowest of the compared OMol25 structures with the same formula, charge and spin: 2.876 eV. The maximum force comes out at 4.92 eV/A.
# The page goes on

It's comparing apple's to oranges, it's not a fair test at all. Photoshop is the only app they tested that is actually optimized to use the G5, and it's the test that Apple was fast on. The other tests are poor comparisons for cpu speed as Adobe has said "Windows is the best platform for running Premiere", and ofcourse Word on Windows is going to run faster on a Mac because of the way MS integrates everything with the OS. Also the videocard had more memory on the PC's, which can account for alot of the Quake differences. They even admit that the test is not exhaustive, they just picked 4 apps that exist on both platforms. IE exists on a Mac, and we all know it's crap compared to the windows version. Benchmarks can say whatever you want them to say, and are for the most part useless, unless you're looking for say, a workstation to run Premiere exclusively, then you might care about this test, as for general use, it doesn't tell a thing.

Just wait for macworld to run a test -- Chances are that the sword turns in the G5's favor.
And I don't think any of the apps that pcworld is running are G5 optimized except for Photoshop, which means that they can't take advantage of the 64-bit capability of the G5. In the fine print it doesn't say that they did or didn't include adobe's G5 patch for the mac, and I haven't heard, but kind of doubt that either Premier or Quake (whatever that game was) or MS Word are G5 optimized, so then the G5 wouldn't be performing at it's peak.
I think these tests have to be taken with a grain of salt. pcworld will obviously be slanted towards the peecee, while macworld also roots for the "home" team.
Fairest one I've seen, imho, is MacAddict's (the 20th anniversary cover). It gives bouquets and brickbats to both in fair treatment, I thought.
Premier is cripple-ware on the Mac. It doesn't see both CPUs on the Dual G5s (or Dual G4s for that matter). It is why Final Cut Pro is so much faster than Premier on Macs (and faster than Premier on the fastest PCs) while doing the same tasks.

Believe me, the people who did the test knew about Premier ahead of time, that was why it was used even though it was discontinued for Macs months ago.
It's a tough situation.

For one, it doesn't matter if apps are optimized or not. It only really matters (for people who care about such things) how a given app performs on a given machine right NOW. Right NOW, the very best high end PCs are faster in general than the very best Macs. We caught up for a brief shining moment.

For two, it is my belief that we will NEVER see true optimization in many key apps. Photoshop, for example, has pacified us with a G5 plugin, but that's a far cry from truly writing that app for a G5, where it would really kick ass. (See this link to see how a G5 can really perform when coded properly: ). I suspect Photoshop will NEVER be really G5-pristine. Same goes for the other non-Apple major apps, unfortunately. Remember Altivec? Remember all those fantastic optimized apps for it? Neither do I, cuz they never existed. Apple's own flagship app, Final Cut Pro isn't even 64-bit aware. Yes, it's G5
"optimized", that's a start. Having said that, it's questionable how much benefit one would truly gain with a 64-bit FCP. There's a lot of myth and hype of 64-bit, when really many apps will not benefit at all, or so minimally that it's not worth the trouble. The biggest beneficiary of 64-bit? (according to one online article that I don't have a link for) That's Great, another reason for PCs to utterly dominate thanks to, of all things, games. Does anyone else see the irony? Macs have historically touted as the "toy", but you can argue that the single biggest reason why PCs dominate in the general buying (non-business) sector is because of games.

Like I said, it's a tough situation. And always will be. I'm just glad that the things I do most (Photoshop and video editing) are extremely fast on the best Mac hardware, so I'm happy. Fortunately, Apple owns FCP, so there's no excuse for them not to make it as optimized as it can possibly be, given enough time. Adobe has no particular incentive to really make Photoshop kick ass on a G5. Apple has every incentive in the world to make FCP shine, and it looks like they're taking that seriously.
Randman is right. MacAddict has the most interesting, and, in my opinion, even-handed and useful benchmarks. Check them out.

In summary (at least as I recall), the G5 did just fine overall. Game performance was not so great. It destroyed the X86 in video compression, although there was some question as to the two programs they used (Apple's Compressor on the G5 and something else on the PC).

Remember that Apple was comparing the G5 to the 3.0 GHz Intel chips and now we have 3.2 GHz chips. Of course, at this point it looks very promising for significantly faster G5s reel soon now.

I would call the speed of the G5s competitive if not faster. Of course, we know which operating system is better.

By the way, is anyone else less than impressed by Macworld? I've NEVER been impressed with the magazine. When I first discovered MacAddict, it was no contest. MacAddict rules.

Macworld used PC World's tests without even a squeak of dissent. Ridiculous.

dktrickey said:
By the way, is anyone else less than impressed by Macworld? I've NEVER been impressed with the magazine. When I first discovered MacAddict, it was no contest. MacAddict rules.

_Inserted here: records of molecules_
┌──
DFT (ωB97M-V/def2-TZVPD) results for C3H4HgLiO3 as an isolated structure at a distorted geometry.

Geometry (Å):
O: 0.88 -1.05 0.10
C: -0.16 -0.25 0.02
C: 1.88 -0.91 1.17
O: -1.01 -0.47 -0.88
O: -0.33 0.72 0.84
C: 2.76 0.29 1.08
H: 2.35 -1.91 1.15
H: 1.30 -0.89 2.17
H: 3.50 0.20 0.27
H: 3.29 0.40 2.04
Li: 1.20 1.69 1.32
Hg: -2.53 1.24 -0.33

The HOMO-LUMO gap (alpha / beta) is 7.00 / 3.43 eV. For the energy above the lowest of the compared OMol25 structures with the same formula, charge and spin, the calculation gives 0.000 eV. The spin multiplicity is 2. Its lowest unoccupied orbital energy (alpha / beta) is -0.262 / -3.287 eV. Its charge is 0. For the total energy, the calculation gives -13696.4976 eV. As for the expectation value of S²: 0.7578.

~~~~~

(1)
└──

Macworld used PC World's tests without even a squeak of dissent. Ridiculous.

You do understand that PC World and Macworld have the same publisher? For that matter, Mac Addict and MaximumPC also have the same publisher. These are commercial publications that do whatever they feel is necessary to appeal to their readers. I don't use a Mac because some dweeb trying to sell advertising tells me its just the greatest computer there ever was. I use the Mac because it provides a platform that allows me to be at my most productive.
Hmm... I've always been a fan of c't for this exact reason: They're platform-independent. They're not into gaming, not into Windows, not into Mac - they're into computing. They've been watching Apple as critical as they've been watching Microsoft, spreading good news as well as bad news. And I think that's about the only quality I'm looking for in a tech magazine. Isn't there something like that in the US besides WIRED (which is rather a lifestyle magazine than a technical one, of course...)?

What comes next are molecular data, not part of the page:
Entry 1:
This record from the OMol25 dataset describes a cluster of 2 separate species, C17H18BF7N3O5S in total. The level of theory is ωB97M-V/def2-TZVPD.

Properties
**LUMO level**: -5.27 eV
**Kohn-Sham gap**: 5.081 eV
**Strongest force on any atom**: 2.1 eV/A
**Charge**: +1

Geometry (Å):
O: -4.973 1.667 3.302
C: -3.846 1.251 3.470
C: -3.324 0.084 2.682
B: -1.972 0.332 1.821
O: -2.146 1.242 0.670
N: -2.183 2.587 1.021
O: -2.919 3.201 0.350
S: -0.434 0.845 2.878
O: 0.598 1.301 1.954
O: -0.646 1.779 3.957
C: 0.363 -0.719 3.543
F: 0.508 -1.566 2.486
F: 1.594 -0.364 3.922
C: -0.317 -1.481 4.754
F: -1.408 -0.906 5.247
F: 0.599 -1.628 5.721
C: -0.700 -2.880 4.227
F: 0.388 -3.552 3.835
F: -1.568 -2.673 3.225
F: -1.298 -3.632 5.155
H: -3.233 1.745 4.236
H: -3.248 -0.786 3.332
H: -4.102 -0.146 1.961
H: -1.652 -0.744 1.326
C: 3.447 3.550 -5.630
N: 2.821 2.557 -4.725
C: 1.574 2.779 -4.281
C: 0.943 1.869 -3.469
C: 1.599 0.696 -3.103
C: 2.898 0.502 -3.563
C: 3.487 1.447 -4.371
C: 0.930 -0.324 -2.262
C: 0.774 -1.638 -2.708
C: 0.182 -2.573 -1.889
N: -0.239 -2.228 -0.664
C: -0.119 -0.966 -0.217
C: 0.459 0.004 -0.999
C: -0.845 -3.194 0.278
H: 3.452 4.516 -5.134
H: 2.864 3.592 -6.547
H: 4.463 3.243 -5.853
H: 1.096 3.695 -4.598
H: -0.066 2.074 -3.139
H: 3.463 -0.379 -3.293
H: 4.492 1.330 -4.749
H: 1.103 -1.940 -3.692
H: 0.044 -3.600 -2.193
H: -0.490 -0.757 0.781
H: 0.552 1.004 -0.597
H: -1.815 -2.791 0.558
H: -0.189 -3.244 1.143
H: -0.961 -4.180 -0.159



Entry 2:
This record from the OMol25 dataset describes an isolated molecule of C4H10N2O. The level of theory is ωB97M-V/def2-TZVPD.

Properties
**LUMO level**: 1.04 eV
**Kohn-Sham gap**: 9.725 eV
**Relative energy (zero: lowest compared OMol25 entry of this formula, charge and spin)**: 170.84 kJ/mol
**Strongest force on any atom**: 0.5 eV/A
**SMILES**: NCNCCC=O

Geometry (Å):
C: 0.052 0.432 0.837
C: 1.356 1.201 0.713
C: 2.407 0.476 -0.088
O: 2.197 -0.472 -0.795
N: -0.680 0.459 -0.416
C: -1.837 -0.427 -0.447
N: -1.502 -1.707 -1.051
H: 0.274 -0.593 1.182
H: -0.587 0.916 1.579
H: 1.783 1.438 1.685
H: 1.153 2.132 0.187
H: 3.415 0.922 -0.020
H: -0.096 0.204 -1.203
H: -2.630 0.031 -1.047
H: -2.224 -0.507 0.574
H: -2.300 -2.315 -1.155
H: -0.780 -2.190 -0.534



Calculated total energy in eV, matching the order above: -63152.01884; -9337.21684

~~~~~

Record 1
# C6H10NO4

2 unconnected molecules or ions with the total composition C6H10NO4 at a distorted geometry (ωB97M-V/def2-TZVPD, the Open Molecules 2025 dataset).

```
! wB97M-V def2-TZVPD RIJCOSX def2/J DEFGRID3
* xyz -1 1
C 2.397 0.621 0.213
C -1.954 -0.568 0.186
C 0.230 -1.642 -0.621
C -0.471 0.550 -1.376
C 0.431 0.261 0.929
C -0.438 -0.344 -0.193
N 0.176 1.503 1.519
O 2.284 1.351 -0.742
O 0.571 1.602 2.708
O 3.129 -0.024 0.858
O -0.405 2.512 0.942
H -2.328 0.376 0.472
H -2.245 -0.967 -0.859
H -1.988 -1.227 1.065
H 1.386 -1.504 -0.552
H -0.102 -2.153 -1.537
H 0.012 -2.338 0.255
H -0.951 1.422 -1.071
H 0.653 0.806 -1.593
H -0.969 0.316 -2.303
H 0.583 -0.555 1.699

(Btw.: I don't mean to say that c't never gets anything wrong, mind you! But I like their approach to be open-minded. I don't need a mag telling me how great I am that I've chosen Macintosh. I know _that_ all by myself.) ;-)
MisterMe said:
You do understand that PC World and Macworld have the same publisher? For that matter, Mac Addict and MaximumPC also have the same publisher. These are commercial publications that do whatever they feel is necessary to appeal to their readers. I don't use a Mac because some dweeb trying to sell advertising tells me its just the greatest computer there ever was. I use the Mac because it provides a platform that allows me to be at my most productive.

Yup, I knew that. My main message there is that MacAddict is a much more interesting and useful magazine than MacWorld. MacWorld used to be completely full of fluff. It's seems to be a bit better lately, but it's still filled with wussy reviews that pull punches for fear of offending advertisers.

MacAddict, on the other hand, I have faith in to tell me the truth. I just realized that PC Gamer is published by the same publisher. I can also trust them to give accurate reviews.

fryke said:
Hmm... I've always been a fan of c't for this exact reason: [. . . ] They've been watching Apple as critical as they've been watching Microsoft, spreading good news as well as bad news. And I think that's about the only quality I'm looking for in a tech magazine. Isn't there something like that in the US besides WIRED (which is rather a lifestyle magazine than a technical one, of course...)?

I took a look at c't's website and a few English translations. Looks pretty good. It seems like InfoWorld has some decent coverage of Apple. Unfortunately, too much of the U.S. press is derogatory toward Apple, describing the company as "beleaguered" and "struggling".

I had to laugh when I read a PC World columnist's view of iTunes for Windows. He wrote that he loved it, it was his favorite place for online music, Apple had got it right, it had an excellent interface, but it was just so frustrating (presumably because it was from Apple and it just made too much sense).

Tests are always rigged somehow to favour whoever it's being done by. For example, Apple do a test G5 vs PC and the G5 is the obvious winner, yet PC websites (with their inferior processor) may do the same tests but soup up the computer in other ways that we don't know of or give bogus scores all together. Either way, the URL is '', and the word 'pc' obviously means that they're gonna be PC-biased and do what they can to show that PCs are superior..................... :rolleyes: